Luma Talk

The making of an iconic brand – what we can learn from Vegemite

Written by Luma | May 2, 2023 11:30:00 PM

One of Australia’s most well-known brands turned 100 this week. How many other Australian iconic brands have been with us through everything (wars, economic ups and downs, our lunchboxes in primary school etc) and have been consistently branded and advertised for 100 years?

Vegemite is a brand that is known and loved by Australians. It is part of the fabric of our country. Part of the Australian psyche. We’re not really a patriotic bunch, but we are proud to say that we eat Vegemite and we love it!

One of the most interesting things about Vegemite is the heritage of its advertising. If you challenged the average Australian to recall 5 Vegemite ads most will struggle to name more than one. And they will likely all name the same ad. And ad that was developed by JWT in 1956 (‘Happy little Vegemites’)!! That was nearly 70 years ago!


This makes us wonder about two things…

  • How is it that the brand has stood the test of time and could still be relevant all these years later? Wouldn’t we all love a bit of that formula!
  • And why has the brand not been able to move beyond their 1956 campaign?

So, here are 5 key lessons to keep in mind as we aim to build iconic brands…


1. Be Consistent

=====
No. 1
# LiMn2B2O6

Crystalline LiMn2B2O6 at its relaxed geometry (PBE+U, the Materials Project).

Lattice parameters (Å, degrees): 5.8623 9.2257 5.2630 91.91 111.67 105.32
Closest atoms and distances in Å follow each position.
Fractional coordinates of all 22 atoms:
1 Mn 0.2501 0.6039 0.2320  5 O 1.95-2.07
2 O 0.6989 0.9265 0.8769  1 B 1.36
3 B 0.7346 0.5321 0.2713  3 O 1.36-1.41
4 Mn 0.7499 0.3961 0.7680  5 O 1.95-2.07
5 O 0.2817 0.5981 0.6142  1 B 1.36
6 O 0.1249 0.4366 0.8976  1 B 1.41
7 O 0.6127 0.6380 0.2991  1 B 1.39
8 B 0.2654 0.4679 0.7287  3 O 1.36-1.41
9 O 0.7183 0.4019 0.3858  1 B 1.36
10 Li 0.3341 0.8114 0.7463  4 O 1.96-2.05
11 Li 0.6659 0.1886 0.2537  4 O 1.96-2.05
12 O 0.3011 0.0735 0.1231  1 B 1.36
13 O 0.3873 0.3620 0.7010  1 B 1.39
14 O 0.8347 0.0768 0.5607  1 B 1.41
15 O 0.6813 0.1825 0.8711  1 B 1.41
16 O 0.8751 0.5635 0.1024  1 B 1.41
17 O 0.3187 0.8175 0.1289  1 B 1.41
18 Mn 0.7534 0.8765 0.2722  5 O 2.07-2.28
19 B 0.7441 0.0598 0.7749  3 O 1.36-1.41
20 Mn 0.2465 0.1235 0.7278  5 O 2.07-2.28
21 O 0.1653 0.9232 0.4393  1 B 1.41
22 B 0.2559 0.9402 0.2251  3 O 1.36-1.41

Output
For the energy, the calculation gives -7.504 eV per atom. Its formation enthalpy at 0 K is -2.430 eV/atom. The calculation puts the energy above the most stable polymorph in this dataset at 0.002 eV per atom.

No. 2
# LiMn2B2O6

Crystalline LiMn2B2O6 at its relaxed geometry (PBE+U, the Materials Project).

Lattice parameters (Å, degrees): 5.3044 9.1481 11.5424 112.64 101.95 89.54
Closest atoms and distances in Å follow each position.
Fractional coordinates of all 44 atoms:
1 O 0.3163 0.0389 0.1621  1 B 1.35
2 O 0.0003 0.1500 0.3947  1 B 1.35
3 O 0.1382 0.3774 0.0927  1 B 1.42
4 O 0.1535 0.4645 0.8358  1 B 1.34
5 O 0.6033 0.8433 0.0755  1 B 1.38
6 B 0.0960 0.6164 0.8676  3 O 1.34-1.42
7 B 0.3560 0.5025 0.3728  3 O 1.34-1.43
8 O 0.7998 0.3099 0.1794  1 B 1.41
9 O 0.5111 0.3495 0.6201  1 B 1.37
10 O 0.3055 0.7850 0.1824  1 B 1.42
11 O 0.6762 0.9694 0.8409  1 B 1.34
12 O 0.4109 0.1730 0.9476  1 B 1.41
13 Li 0.1707 0.3309 0.6569  4 O 1.96-2.17
14 O 0.9264 0.8667 0.3201  1 B 1.40
15 O 0.6322 0.0385 0.4357  1 B 1.43
16 O 0.0489 0.1254 0.6688  1 B 1.41
17 Mn 0.8565 0.3524 0.3784  5 O 2.06-2.20
18 O 0.5596 0.6321 0.6707  1 B 1.41
19 B 0.4048 0.8937 0.1388  3 O 1.35-1.42
20 Mn 0.3447 0.8419 0.3866  5 O 2.03-2.23
21 Mn 0.1674 0.6388 0.6272  5 O 1.94-2.06
22 O 0.7825 0.5407 0.1256  1 B 1.35
23 O 0.6712 0.2172 0.8150  1 B 1.42
24 Mn 0.5956 0.7818 0.8818  5 O 2.02-2.26
25 O 0.3845 0.9614 0.5885  1 B 1.42
26 B 0.9024 0.4128 0.1334  3 O 1.35-1.42
27 B 0.6493 0.4790 0.6269  3 O 1.37-1.41
28 O 0.0167 0.8431 0.6204  1 B 1.36
29 O 0.8823 0.4639 0.5859  1 B 1.40
30 Li 0.6921 0.8372 0.6667  3 O 1.91-2.03
31 B 0.8565 0.0211 0.3823  3 O 1.35-1.43
32 B 0.1461 0.9745 0.6275  3 O 1.36-1.42
33 O 0.4594 0.6193 0.3500  1 B 1.34
34 O 0.1868 0.7125 0.8108  1 B 1.42
35 Mn 0.0855 0.2826 0.8860  4 O 2.02-2.18
36 Li 0.3253 0.1556 0.3482  3 O 1.92-1.99
=====

The ‘Happy Little Vegemites’ ad was originally on air for around 8 years. I’m not sure of what the average ad lifetime is for most brands, but I’d guess that it is more like 1-2 years.

So one of the key strengths with the Vegemite ad was the consistency and repetition in the media play. Everyone knew the ad and heard it regularly.

Those who have studied psychology will know that repetition is one of the best ways to develop memory structures. And this is also what we need to create iconic campaigns.

So before you feel bored of your latest campaign, ask yourself, is it really worn out or am I just tired of it?


2. Have a Jingle

Jingles are one of the most under-used advertising hacks.

For Vegemite, the standout jingle was written by Allan Weekes originally for a radio ad in 1954, before being integrated into the TV ad two years later.

[1]
A relaxed structure of Ca3Mn2Si4O14, computed with PBE with a Hubbard U.

The structure in extended XYZ format:
```
46
Lattice="8.587 -3.870 0.000 8.587 3.870 0.000 -5.579 0.000 8.510" Properties=species:S:1:pos:R:3 pbc="T T T"
Ca 4.403 2.675 6.383
Ca 2.196 0.269 4.611
Ca 4.985 -0.269 0.356
Ca 6.610 0.269 8.154
Ca 9.400 -0.269 3.899
Ca 7.192 -2.675 2.128
Mn 7.192 1.658 2.128
Mn 8.587 0.000 0.000
Mn 5.798 0.000 4.255
Mn 4.403 -1.658 6.383
Si 4.439 2.636 3.014
Si 0.845 2.232 7.159
Si 9.946 2.636 1.241
Si 7.960 2.232 5.607
Si 3.635 -2.232 2.903
Si 1.650 -2.636 7.269
Si 10.750 -2.232 1.352
Si 7.156 -2.636 5.496
O 3.762 2.096 1.578
O 1.667 2.232 5.769
O 5.943 3.129 2.641
O 8.442 3.129 1.615
O 2.327 0.072 0.798
O -0.462 -0.072 5.053
O 4.299 1.628 4.287
O 1.330 1.245 8.355
O 4.506 1.628 8.479
O 7.138 2.232 6.996
O 5.878 0.297 2.394
O 7.476 1.245 4.410
O 10.623 2.096 2.677
O 3.088 -0.297 6.649
O 8.507 0.297 1.861
O 0.973 -2.096 5.833
O 4.120 -1.245 4.100
O 5.718 -0.297 6.116
O 4.457 -2.232 1.514
O 7.089 -1.628 0.032
O 10.265 -1.245 0.155
O 7.296 -1.628 4.224
O 12.058 0.072 3.457
O 9.268 -0.072 7.712
O 3.153 -3.129 6.896
O 5.652 -3.129 5.870
O 9.928 -2.232 2.741
O 7.833 -2.096 6.932
```

**DFT formation energy**: -3.101 eV per atom

***

[2]
A relaxed structure of Li3CoRuO5, computed with PBE with a Hubbard U.

The structure in extended XYZ format:
```
20
Lattice="2.590 -7.492 0.000 2.590 7.492 0.000 -1.694 0.000 4.839" Properties=species:S:1:pos:R:3 pbc="T T T"
Li 0.000 0.000 0.000
Li 1.743 6.018 2.419
Li 1.743 2.985 2.419
Li 1.743 0.000 2.419
Li 1.743 -2.985 2.419
Li 1.743 -6.018 2.419
Co 2.590 4.530 0.000
Co 2.590 -4.530 0.000
Ru 2.590 1.510 0.000
Ru 2.590 -1.510 0.000
O 0.060 2.921 3.708
O 0.969 1.529 1.110
O 0.110 0.000 3.710
O 0.969 -1.529 1.110
O 0.060 -2.921 3.708
O 3.425 2.921 1.131
O 2.517 1.529 3.729
O 3.375 0.000 1.129
O 2.517 -1.529 3.729
O 3.425 -2.921 1.131
```

**DFT formation energy**: -1.718 eV per atom

***

Which value of DFT formation energy does entry 1 give? -3.101 eV per atom

=====

This record from the Materials Project describes crystalline CeAgHg2 at its relaxed geometry. The functional is r2SCAN.

Results
The calculation puts the total magnetization at 1.09 μB per formula unit. The energy relative to the elements comes out at -0.38 eV/atom.

a b c (Å): 5.1148 5.1148 5.1148
angles (deg): 60.00 60.00 60.00
With the nearest neighbours (Å) after each atom.
Fractional positions:
Ce: 0.0000 0.0000 0.0000  8 Hg 3.13
Ag: 0.5000 0.5000 0.5000  8 Hg 3.13
Hg: 0.2500 0.2500 0.2500  4 Ag 3.13, 4 Ce 3.13
Hg: 0.7500 0.7500 0.7500  4 Ce 3.13, 4 Ag 3.13



This record from the Materials Project describes crystalline CeInAg2 at its relaxed geometry. The functional is r2SCAN.

Results
The calculation puts the total magnetization at 1.10 μB per formula unit. The energy relative to the elements comes out at -0.37 eV/atom.

a b c (Å): 5.0487 5.0487 5.0487
angles (deg): 60.00 60.00 60.00
With the nearest neighbours (Å) after each atom.

The jingle has been engaging us and telling the Vegemite story with 3 generations of Vegemite fans.  Almost every Australian aged over 45 can sing the song.

It is an ear worm that gets stuck inside our heads. It helps to get the ad noticed, ties to the brand, but also conveys a message about the brand.

It worked in the 50s and again more recently to leave us feeling good about the brand. The happy and uplifting feelings you have about the jingle get transferred to the brand by association.

Is the jingle not often used these days because they are not seen to be cool? Seriously think about whether a jingle would be right for your brand – you’ll be remembered forever.


3. Build and Reinforce your Distinctive Brand Assets

As a result of the catchy jingle, the brand created and continued to reinforce a distinctive brand asset. As soon as people hear the song, they link it to the brand.

And along with their distinctive jar with diamond logo and red and yellow colours, the brand has a suite of memorable tools by which to code the brand in their ads. But has the brand been able to build any new assets in the past 70 years?


4. Power of Nostalgia

There is a lot of emotion linked to nostalgic memories of better times from the past, or childhood, or time with family.

Bringing back the jingle in the late 80s set the tone and transported a whole new generation of Vegemite fans to the fun and upbeat emotional territory while triggering nostalgia for older viewers.

One of the elements of the original campaign is that it takes people back to these happy, simpler and relatable times and leaves people feeling good.

Many brands seem to shy away from leaning into their ‘heritage’ because it is perceived as old fashioned and uncool. But old fashioned does not have to be a negative association – it can provide a sense of trust and stability.


5. Distinctiveness and Fame

As a black and white ad with marching girls and children on swings, the ad visuals, aligned with the jingle makes it distinctive and therefore memorable.

It may no longer be cool or relevant, but the ad helped to build brand memories. Something many of the recent campaigns have failed to do. Is that because we end up all looking the same with montage of people eating toast?


And one last watchout….

Don’t mistreat your brand… Interestingly, Vegemite sales have been slowly declining for the past 15 years or so. This seems to be partly due to the changing tastes, preferences for alternative spreads or breakfast options and shifts in the make-up of the Australian population (according to the ABS, now around a third of Australians are born overseas).

But could it also be due to the brand guardianship over the last 50 years or so? Remembering that the brand has changed ownerships three times, could it be that the brand wasn’t nurtured or invested in as much as it should have been? Was it treated just as a cash cow for a long time with no media investment?

Or is just that the original ‘Happy Little Vegemites’ ad developed by JWT was just so iconic that nothing could surpass it?